┌──
# 1
A geometry-optimized CuH12N2O2F4 structure, computed with PBE.

Lattice parameters (Å, degrees): 7.325 6.790 28.748 90.00 100.92 90.00
Positions (direct):
Cu  0.166  0.073  0.311
Cu  0.166  0.427  0.811
Cu  0.192  0.246  0.562
Cu  0.192  0.254  0.062
Cu  0.808  0.746  0.938
Cu  0.808  0.754  0.438
Cu  0.834  0.573  0.189
Cu  0.834  0.927  0.689
H  0.091  0.182  0.224
H  0.091  0.318  0.724
H  0.092  0.124  0.476
H  0.092  0.376  0.976
H  0.092  0.553  0.725
H  0.092  0.947  0.225
H  0.111  0.140  0.975
H  0.111  0.360  0.475
H  0.140  0.721  0.649
H  0.140  0.779  0.149
H  0.146  0.078  0.396
H  0.146  0.422  0.896
H  0.156  0.215  0.650
H  0.156  0.285  0.150
H  0.163  0.562  0.398
H  0.163  0.938  0.898
H  0.200  0.510  0.230
H  0.200  0.990  0.730
H  0.201  0.639  0.105
H  0.201  0.861  0.605
H  0.227  0.745  0.475
H  0.227  0.755  0.975
H  0.239  0.587  0.345
H  0.239  0.913  0.845
H  0.240  0.617  0.606
H  0.240  0.883  0.106
H  0.254  0.131  0.875
H  0.254  0.369  0.375
H  0.349  0.666  0.267
H  0.349  0.834  0.767
H  0.360  0.625  0.521
H  0.360  0.875  0.021
H  0.365  0.739  0.148
H  0.365  0.761  0.648
H  0.375  0.215  0.648
H  0.375  0.285  0.148
H  0.376  0.629  0.019
H  0.376  0.871  0.519
H  0.377  0.062  0.401
H  0.377  0.089  0.772
H  0.377  0.411  0.272
H  0.377  0.438  0.901
H  0.395  0.556  0.397
H  0.395  0.944  0.897
H  0.459  0.736  0.479
H  0.459  0.764  0.979
H  0.467  0.025  0.308
H  0.467  0.475  0.808
H  0.533  0.525  0.192
H  0.533  0.975  0.692
H  0.541  0.236  0.021
H  0.541  0.264  0.521
H  0.605  0.056  0.103
H  0.605  0.444  0.603
H  0.623  0.562  0.099
H  0.623  0.589  0.728
H  0.623  0.911  0.228
H  0.623  0.938  0.599
H  0.624  0.129  0.481
H  0.624  0.371  0.981
H  0.625  0.715  0.852
H  0.625  0.785  0.352
H  0.635  0.239  0.352
H  0.635  0.261  0.852
H  0.640  0.125  0.979
H  0.640  0.375  0.479
H  0.651  0.166  0.233
H  0.651  0.334  0.733
H  0.746  0.631  0.625
H  0.746  0.869  0.125
H  0.760  0.117  0.894
H  0.760  0.383  0.394
H  0.761  0.087  0.155
H  0.761  0.413  0.655
H  0.773  0.245  0.025
H  0.773  0.255  0.525
H  0.799  0.139  0.395
H  0.799  0.361  0.895
H  0.800  0.010  0.270
H  0.800  0.490  0.770
H  0.837  0.062  0.102
H  0.837  0.438  0.602
H  0.844  0.715  0.850
H  0.844  0.785  0.350
H  0.854  0.578  0.104
H  0.854  0.922  0.604
H  0.860  0.221  0.851
H  0.860  0.279  0.351
H  0.889  0.640  0.525
H  0.889  0.860  0.025
H  0.908  0.053  0.775
H  0.908  0.447  0.275
H  0.908  0.624  0.024
H  0.908  0.876  0.524
H  0.909  0.682  0.276
H  0.909  0.818  0.776
N  0.236  0.740  0.626
N  0.236  0.760  0.126
N  0.263  0.522  0.378
N  0.263  0.978  0.878
N  0.312  0.530  0.256
N  0.312  0.970  0.756
N  0.354  0.747  0.498
N  0.354  0.753  0.998
N  0.646  0.247  0.002
N  0.646  0.253  0.502
N  0.688  0.030  0.244
N  0.688  0.470  0.744
N  0.737  0.022  0.122
N  0.737  0.478  0.622
N  0.764  0.240  0.874
N  0.764  0.260  0.374
O  0.145  0.067  0.243
O  0.145  0.433  0.743
O  0.164  0.236  0.493
O  0.164  0.264  0.993
O  0.246  0.116  0.380
O  0.246  0.384  0.880
O  0.251  0.237  0.131
O  0.251  0.263  0.631
O  0.749  0.737  0.369
O  0.749  0.763  0.869
O  0.754  0.616  0.120
O  0.754  0.884  0.620
O  0.836  0.736  0.007
O  0.836  0.764  0.507
O  0.855  0.567  0.257
O  0.855  0.933  0.757
F  0.010  0.029  0.564
F  0.010  0.471  0.064
F  0.015  0.164  0.681
F  0.015  0.336  0.181
F  0.022  0.708  0.689
F  0.022  0.792  0.189
F  0.043  0.529  0.444
F  0.043  0.971  0.944
F  0.390  0.050  0.061
F  0.390  0.450  0.561
F  0.439  0.636  0.815
F  0.439  0.864  0.315
F  0.463  0.197  0.309
F  0.463  0.303  0.809
F  0.472  0.502  0.071
F  0.472  0.998  0.571
F  0.528  0.002  0.429
F  0.528  0.498  0.929
F  0.537  0.697  0.191
F  0.537  0.803  0.691
F  0.561  0.136  0.685
F  0.561  0.364  0.185
F  0.610  0.550  0.439
F  0.610  0.950  0.939
F  0.957  0.029  0.056
F  0.957  0.471  0.556
F  0.978  0.208  0.811
F  0.978  0.292  0.311
F  0.985  0.664  0.819
F  0.985  0.836  0.319
└──

Now restate the lines further above up to the one that holds "0.422", that line included.

# 1
A geometry-optimized CuH12N2O2F4 structure, computed with PBE.

Lattice parameters (Å, degrees): 7.325 6.790 28.748 90.00 100.92 90.00
Positions (direct):
Cu  0.166  0.073  0.311
Cu  0.166  0.427  0.811
Cu  0.192  0.246  0.562
Cu  0.192  0.254  0.062
Cu  0.808  0.746  0.938
Cu  0.808  0.754  0.438
Cu  0.834  0.573  0.189
Cu  0.834  0.927  0.689
H  0.091  0.182  0.224
H  0.091  0.318  0.724
H  0.092  0.124  0.476
H  0.092  0.376  0.976
H  0.092  0.553  0.725
H  0.092  0.947  0.225
H  0.111  0.140  0.975
H  0.111  0.360  0.475
H  0.140  0.721  0.649
H  0.140  0.779  0.149
H  0.146  0.078  0.396
H  0.146  0.422  0.896